Data.
-- begin --
Entry from the Alexandria database: Li2NbAs2 at its PBEsol-relaxed geometry (SCAN).

Properties
**Total magnetic moment**: 0.00 μB per cell
**ΔE_f**: -2.15 eV per formula unit
**DOS(E_F)**: 0.50 states/eV per atom

POSCAR file:
```
Li2NbAs2
1.0
3.3799 0.0000 0.0000
0.0000 3.3799 0.0000
0.0000 0.0000 13.2182
Li Nb As
4 2 4
Direct
0.0000 0.5000 0.2500
0.0000 0.5000 0.7500
0.5000 0.0000 0.2500
0.5000 0.0000 0.7500
0.0000 0.0000 0.0000
0.5000 0.5000 0.5000
0.0000 0.0000 0.3931
0.0000 0.0000 0.6069
0.5000 0.5000 0.1069
0.5000 0.5000 0.8931
```

* * * * *

# Dy3ErSc2 (GGA-PBE, relaxed)
data_Dy3ErSc2
_space_group_name_H-M_alt 'C 1 2/m 1'
_space_group_IT_number 12
_space_group_name_Hall '-C 2y'
_cell_length_a 22.548
_cell_length_b 3.371
_cell_length_c 9.838
_cell_angle_alpha 90.00
_cell_angle_beta 107.90
_cell_angle_gamma 90.00
loop_
_atom_site_label
_atom_site_fract_x
_atom_site_fract_y
_atom_site_fract_z
Dy1 0.059 0.000 0.432
Dy2 0.070 0.500 0.774
Dy3 0.197 0.000 0.708
Er1 0.186 0.000 0.044
Sc1 0.072 0.500 0.137
Sc2 0.192 0.000 0.372
# E_form, eV per atom: 0.149
# Energy relative to the lowest polymorph listed for this composition, meV per atom: 0.0
# Uncorrected energy, eV/f.u.: -30.14



# In2Ga2Bi (GGA-PBE, relaxed)
data_In2Ga2Bi
_space_group_name_H-M_alt 'C 1 2/m 1'
_space_group_IT_number 12
_space_group_name_Hall '-C 2y'
_cell_length_a 9.952
_cell_length_b 5.575
_cell_length_c 4.822
_cell_angle_alpha 90.00
_cell_angle_beta 106.62
_cell_angle_gamma 90.00
loop_
_atom_site_label
_atom_site_fract_x
_atom_site_fract_y
_atom_site_fract_z
In1 0.229 0.000 0.137
Ga1 0.083 0.500 0.278
Bi1 0.000 0.000 0.500
# E_form, eV per atom: 0.059
# Energy relative to the lowest polymorph listed for this composition, meV per atom: 0.0
# Uncorrected energy, eV/f.u.: -15.12



# ErPaIrRu (GGA-PBE, relaxed)
data_ErPaIrRu
_space_group_name_H-M_alt 'C 1 m 1'
_space_group_IT_number 8
_space_group_name_Hall 'C -2y'
_cell_length_a 7.885
_cell_length_b 4.594
_cell_length_c 5.312
_cell_angle_alpha 90.00
_cell_angle_beta 119.57
_cell_angle_gamma 90.00
loop_
_atom_site_label
_atom_site_fract_x
_atom_site_fract_y
_atom_site_fract_z
Er1 0.000 0.000 0.000
Pa1 0.002 0.500 0.509
Ir1 0.271 0.500 0.318
Ru1 0.222 0.000 0.655
# E_form, eV per atom: -0.643
# Uncorrected energy, eV/f.u.: -34.77



# Pm2Dy4YEr2 (GGA-PBE, relaxed)
data_Pm2Dy4YEr2
_space_group_name_H-M_alt 'C 1 2/m 1'
_space_group_IT_number 12
_space_group_name_Hall '-C 2y'
_cell_length_a 18.651
_cell_length_b 3.594
_cell_length_c 9.550
_cell_angle_alpha 90.00
_cell_angle_beta 115.76
_cell_angle_gamma 90.00
loop_
_atom_site_label
_atom_site_fract_x
_atom_site_fract_y
_atom_site_fract_z
Pm1 0.166 0.000 0.498
Dy1 0.019 0.000 0.837
Dy2 0.186 0.500 0.836
Y1 0.000 0.500 0.500
Er1 0.147 0.500 0.164
# E_form, eV per atom: -0.002
# Uncorrected energy, eV/f.u.: -43.52



# Tm4TlSnN (GGA-PBE, relaxed)
data_Tm4TlSnN
_space_group_name_H-M_alt 'C m c m'
_space_group_IT_number 63
_space_group_name_Hall '-C 2c 2'
_cell_length_a 6.554
_cell_length_b 15.793
_cell_length_c 6.553
_cell_angle_alpha 90.00
_cell_angle_beta 90.00
_cell_angle_gamma 90.00
loop_
_atom_site_label
_atom_site_fract_x
_atom_site_fract_y
_atom_site_fract_z
Tm1 0.000 0.088 0.250
Tm2 0.000 0.409 0.250
Tm3 0.250 0.250 0.000
Tl1 0.000 0.109 0.750
Sn1 0.000 0.392 0.750
N1 0.000 0.251 0.250
# Uncorrected energy, eV/f.u.: -38.67



# Tm5Hg2Pd (GGA-PBE, relaxed)
data_Tm5Hg2Pd
_space_group_name_H-M_alt 'P b a m'
_space_group_IT_number 55
_space_group_name_Hall '-P 2 2ab'
-- stop --

Brief.
It remains to start at the top of the lines further up and duplicate each line, ending with the one that has "0.500 0.278".

Reply.
Entry from the Alexandria database: Li2NbAs2 at its PBEsol-relaxed geometry (SCAN).

Properties
**Total magnetic moment**: 0.00 μB per cell
**ΔE_f**: -2.15 eV per formula unit
**DOS(E_F)**: 0.50 states/eV per atom

POSCAR file:
```
Li2NbAs2
1.0
3.3799 0.0000 0.0000
0.0000 3.3799 0.0000
0.0000 0.0000 13.2182
Li Nb As
4 2 4
Direct
0.0000 0.5000 0.2500
0.0000 0.5000 0.7500
0.5000 0.0000 0.2500
0.5000 0.0000 0.7500
0.0000 0.0000 0.0000
0.5000 0.5000 0.5000
0.0000 0.0000 0.3931
0.0000 0.0000 0.6069
0.5000 0.5000 0.1069
0.5000 0.5000 0.8931
```

* * * * *

# Dy3ErSc2 (GGA-PBE, relaxed)
data_Dy3ErSc2
_space_group_name_H-M_alt 'C 1 2/m 1'
_space_group_IT_number 12
_space_group_name_Hall '-C 2y'
_cell_length_a 22.548
_cell_length_b 3.371
_cell_length_c 9.838
_cell_angle_alpha 90.00
_cell_angle_beta 107.90
_cell_angle_gamma 90.00
loop_
_atom_site_label
_atom_site_fract_x
_atom_site_fract_y
_atom_site_fract_z
Dy1 0.059 0.000 0.432
Dy2 0.070 0.500 0.774
Dy3 0.197 0.000 0.708
Er1 0.186 0.000 0.044
Sc1 0.072 0.500 0.137
Sc2 0.192 0.000 0.372
# E_form, eV per atom: 0.149
# Energy relative to the lowest polymorph listed for this composition, meV per atom: 0.0
# Uncorrected energy, eV/f.u.: -30.14



# In2Ga2Bi (GGA-PBE, relaxed)
data_In2Ga2Bi
_space_group_name_H-M_alt 'C 1 2/m 1'
_space_group_IT_number 12
_space_group_name_Hall '-C 2y'
_cell_length_a 9.952
_cell_length_b 5.575
_cell_length_c 4.822
_cell_angle_alpha 90.00
_cell_angle_beta 106.62
_cell_angle_gamma 90.00
loop_
_atom_site_label
_atom_site_fract_x
_atom_site_fract_y
_atom_site_fract_z
In1 0.229 0.000 0.137
Ga1 0.083 0.500 0.278